## Request
What is needed: copy the whole of the listing further below verbatim.

## Excerpt
Entry 1:
Structure and computed powder diffractogram of BaHoCo4O7 (the PBE+U geometry in the Materials Project; Cu Kα (weighted mean of Kα1 and Kα2)).

Top 8 peaks for 10° ≤ 2θ ≤ 80°, sorted by position:
2θ (°), I_rel, index
28.0, 49, 1 1 0
30.4, 67, 1 0 3
32.9, 100, 1 1 2
33.5, 55, 2 0 1
51.0, 30, 2 1 3
52.7, 28, 3 0 2
55.3, 36, 2 0 5
57.8, 33, 2 2 0

Crystal structure
a b c (Å): 6.3826 6.3826 10.4049
angles (deg): 90.00 90.00 120.00
Space group P6_3mc (No. 186)
One atom of each set of equivalent atoms:
Ba 0.3333 0.6667 0.0000 [2 per cell]
Ho 0.3333 0.6667 0.3963 [2 per cell]
Co 0.0000 0.0000 0.4616 [2 per cell]
Co 0.1695 0.3390 0.7064 [6 per cell]
O 0.0000 0.0000 0.2631 [2 per cell]
O 0.0160 0.5080 0.7792 [6 per cell]
O 0.1678 0.3356 0.5219 [6 per cell]

Entry 2:
Structure and computed powder diffractogram of Ba3CoIr2O9 (the PBE+U geometry in the Materials Project; Cu Kα (weighted mean of Kα1 and Kα2)).

Top 8 peaks for 10° ≤ 2θ ≤ 80°, sorted by position:
2θ (°), I_rel, index
18.6, 32, 1 0 1
30.4, 49, 1 0 4
30.6, 100, 1 1 0
35.7, 32, 1 0 5
43.6, 28, 2 0 4
47.7, 19, 2 0 5
54.2, 19, 2 1 4
54.3, 20, 3 0 0

Crystal structure
a b c (Å): 5.8512 5.8512 14.4706
angles (deg): 90.00 90.00 120.00
Space group P6_3/mmc (No. 194)
One atom of each set of equivalent atoms:
Ba 0.0000 0.0000 0.2500 [2 per cell]
Ba 0.3333 0.6667 0.0878 [4 per cell]
Co 0.0000 0.0000 0.0000 [2 per cell]
Ir 0.3333 0.6667 0.6549 [4 per cell]
O 0.0291 0.5145 0.7500 [6 per cell]
O 0.1694 0.3388 0.5818 [12 per cell]

## Written answer
Entry 1:
Structure and computed powder diffractogram of BaHoCo4O7 (the PBE+U geometry in the Materials Project; Cu Kα (weighted mean of Kα1 and Kα2)).

Top 8 peaks for 10° ≤ 2θ ≤ 80°, sorted by position:
2θ (°), I_rel, index
28.0, 49, 1 1 0
30.4, 67, 1 0 3
32.9, 100, 1 1 2
33.5, 55, 2 0 1
51.0, 30, 2 1 3
52.7, 28, 3 0 2
55.3, 36, 2 0 5
57.8, 33, 2 2 0

Crystal structure
a b c (Å): 6.3826 6.3826 10.4049
angles (deg): 90.00 90.00 120.00
Space group P6_3mc (No. 186)
One atom of each set of equivalent atoms:
Ba 0.3333 0.6667 0.0000 [2 per cell]
Ho 0.3333 0.6667 0.3963 [2 per cell]
Co 0.0000 0.0000 0.4616 [2 per cell]
Co 0.1695 0.3390 0.7064 [6 per cell]
O 0.0000 0.0000 0.2631 [2 per cell]
O 0.0160 0.5080 0.7792 [6 per cell]
O 0.1678 0.3356 0.5219 [6 per cell]

Entry 2:
Structure and computed powder diffractogram of Ba3CoIr2O9 (the PBE+U geometry in the Materials Project; Cu Kα (weighted mean of Kα1 and Kα2)).

Top 8 peaks for 10° ≤ 2θ ≤ 80°, sorted by position:
2θ (°), I_rel, index
18.6, 32, 1 0 1
30.4, 49, 1 0 4
30.6, 100, 1 1 0
35.7, 32, 1 0 5
43.6, 28, 2 0 4
47.7, 19, 2 0 5
54.2, 19, 2 1 4
54.3, 20, 3 0 0

Crystal structure
a b c (Å): 5.8512 5.8512 14.4706
angles (deg): 90.00 90.00 120.00
Space group P6_3/mmc (No. 194)
One atom of each set of equivalent atoms:
Ba 0.0000 0.0000 0.2500 [2 per cell]
Ba 0.3333 0.6667 0.0878 [4 per cell]
Co 0.0000 0.0000 0.0000 [2 per cell]
Ir 0.3333 0.6667 0.6549 [4 per cell]
O 0.0291 0.5145 0.7500 [6 per cell]
O 0.1694 0.3388 0.5818 [12 per cell]